### Exercise
Write out only the last part of the material below, starting with the line that has "32.93".

### Source
........
Structure and simulated powder XRD pattern of Y2Se (a structure optimized by DFT (GGA-PBE); Cu Kα X-rays).
Peak positions follow from Bragg's law for the DFT cell and can differ from measured ones.

Main lines, sorted by position (2θ = 15–90°):
| (hkl) | Position (°2θ) | I/Imax |
| --- | --- | --- |
| 1 2 1 | 27.49 | 45 |
| 0 4 2 | 28.38 | 100 |
| 0 0 4 | 29.41 | 55 |
| 1 2 2 | 30.35 | 81 |
| 1 3 1 | 30.72 | 37 |
| 0 4 3 | 32.93 | 37 |
| 1 4 0 | 33.97 | 60 |
| 1 2 3 | 34.65 | 32 |
| 1 3 3 | 37.33 | 52 |
| 1 3 4 | 42.37 | 31 |
| 2 0 0 | 48.05 | 44 |
| 1 3 5 | 48.22 | 33 |

Crystal structure
```
data_Y2Se
_chemical_formula_sum 'Y16 Se8'
_cell_length_a 3.787
_cell_length_b 14.717
_cell_length_c 12.146
_cell_angle_alpha 90.00
_cell_angle_beta 90.00
_cell_angle_gamma 90.00
_space_group_name_H-M_alt 'P m c 21'
_space_group_IT_number 26
loop_
_space_group_symop_operation_xyz
'x,y,z'
'-x,-y,z+1/2'
'-x,y,z'
'x,-y,z+1/2'
loop_
_atom_site_label
_atom_site_fract_x
_atom_site_fract_y
_atom_site_fract_z
Y1 0.000 0.003 0.009
Y2 0.000 0.155 0.723
Y3 0.000 0.237 0.444
Y4 0.000 0.477 0.970
Y5 0.500 0.090 0.254
Y6 0.500 0.235 0.000
Y7 0.500 0.373 0.691
Y8 0.500 0.391 0.229
Se1 0.000 0.242 0.198
Se2 0.000 0.312 0.854
Se3 0.500 0.080 0.865
Se4 0.500 0.378 0.459
```

* * * * *

Fe7Pd2Rh3: theoretical X-ray diffraction stick pattern (copper Kα), based on DFT lattice parameters and positions (GGA-PBE).
Lines closer than 0.1° are merged.

Peak list (12 most intense, 2θ = 15–90°, sorted by position)
2theta	d_spacing	Rel. int.
17.18	5.161	8
23.54	3.780	8
25.90	3.441	7
30.97	2.888	10
33.37	2.685	13
37.76	2.382	10
43.18	2.095	27
43.65	2.074	100
44.61	2.031	25
63.83	1.458	16
79.51	1.206	22
81.53	1.181	15

Atomic structure:
Lattice parameters (Å, degrees): 10.532 10.532 4.062 90.00 90.00 157.05
Fractional coordinates of all 12 atoms:
Fe  0.000  0.000  0.000
Fe  0.073  0.927  0.500
Fe  0.279  0.721  0.000
Fe  0.427  0.573  0.000
Fe  0.573  0.427  0.000
Fe  0.721  0.279  0.000
Fe  0.927  0.073  0.500
Pd  0.151  0.849  0.000
Pd  0.849  0.151  0.000
Rh  0.350  0.650  0.500
Rh  0.500  0.500  0.500
Rh  0.650  0.350  0.500
........

### Worked solution
| 0 4 3 | 32.93 | 37 |
| 1 4 0 | 33.97 | 60 |
| 1 2 3 | 34.65 | 32 |
| 1 3 3 | 37.33 | 52 |
| 1 3 4 | 42.37 | 31 |
| 2 0 0 | 48.05 | 44 |
| 1 3 5 | 48.22 | 33 |

Crystal structure
```
data_Y2Se
_chemical_formula_sum 'Y16 Se8'
_cell_length_a 3.787
_cell_length_b 14.717
_cell_length_c 12.146
_cell_angle_alpha 90.00
_cell_angle_beta 90.00
_cell_angle_gamma 90.00
_space_group_name_H-M_alt 'P m c 21'
_space_group_IT_number 26
loop_
_space_group_symop_operation_xyz
'x,y,z'
'-x,-y,z+1/2'
'-x,y,z'
'x,-y,z+1/2'
loop_
_atom_site_label
_atom_site_fract_x
_atom_site_fract_y
_atom_site_fract_z
Y1 0.000 0.003 0.009
Y2 0.000 0.155 0.723
Y3 0.000 0.237 0.444
Y4 0.000 0.477 0.970
Y5 0.500 0.090 0.254
Y6 0.500 0.235 0.000
Y7 0.500 0.373 0.691
Y8 0.500 0.391 0.229
Se1 0.000 0.242 0.198
Se2 0.000 0.312 0.854
Se3 0.500 0.080 0.865
Se4 0.500 0.378 0.459
```

* * * * *

Fe7Pd2Rh3: theoretical X-ray diffraction stick pattern (copper Kα), based on DFT lattice parameters and positions (GGA-PBE).
Lines closer than 0.1° are merged.

Peak list (12 most intense, 2θ = 15–90°, sorted by position)
2theta	d_spacing	Rel. int.
17.18	5.161	8
23.54	3.780	8
25.90	3.441	7
30.97	2.888	10
33.37	2.685	13
37.76	2.382	10
43.18	2.095	27
43.65	2.074	100
44.61	2.031	25
63.83	1.458	16
79.51	1.206	22
81.53	1.181	15

Atomic structure:
Lattice parameters (Å, degrees): 10.532 10.532 4.062 90.00 90.00 157.05
Fractional coordinates of all 12 atoms:
Fe  0.000  0.000  0.000
Fe  0.073  0.927  0.500
Fe  0.279  0.721  0.000
Fe  0.427  0.573  0.000
Fe  0.573  0.427  0.000
Fe  0.721  0.279  0.000
Fe  0.927  0.073  0.500
Pd  0.151  0.849  0.000
Pd  0.849  0.151  0.000
Rh  0.350  0.650  0.500
Rh  0.500  0.500  0.500
Rh  0.650  0.350  0.500